• Job:
It remains to retype only the last part of the data underneath, starting with the line that has "-0.1818".

• Excerpt:
- - -
# 1
Below is an optimized crystal structure of Ti3NbCu2P6O24, with properties calculated at the PBE level.

Geometry as POSCAR:
```
Ti3NbCu2P6O24
1.0
7.5333 -4.3611 0.0000
7.5333 4.3611 0.0000
5.0085 0.0000 7.1193
Ti Nb Cu P O
3 1 2 6 24
direct
0.1424 0.1424 0.1424
0.3583 0.3583 0.3583
0.6425 0.6425 0.6425
0.8588 0.8588 0.8588
0.0024 0.0024 0.0024
0.5000 0.5000 0.5000
0.7486 0.0420 0.4553
0.0420 0.4553 0.7486
0.5350 0.2555 0.9606
0.9606 0.5350 0.2555
0.2555 0.9606 0.5350
0.4553 0.7486 0.0420
0.3042 0.1254 0.4994
0.4994 0.3042 0.1254
0.9160 0.0589 0.2700
0.1254 0.4994 0.3042
0.8020 0.0038 0.6203
0.5838 0.2289 0.4404
0.0589 0.2700 0.9160
0.2289 0.4404 0.5838
0.3750 0.1976 0.9993
0.4404 0.5838 0.2289
0.7253 0.0885 0.9426
0.9993 0.3750 0.1976
0.0038 0.6203 0.8020
0.2700 0.9160 0.0589
0.5573 0.4171 0.7718
0.6203 0.8020 0.0038
0.7718 0.5573 0.4171
0.9426 0.7253 0.0885
0.4171 0.7718 0.5573
0.1976 0.9993 0.3750
0.8756 0.4984 0.6972
0.0885 0.9426 0.7253
0.4984 0.6972 0.8756
0.6972 0.8756 0.4984
```

Values from the calculation:
For the energy with MP2020 corrections, the calculation gives -8.114 eV/atom. The size of the total moment comes out at 0.99 μB per formula unit. As for the space group: R3, No. 146.

=====

# 2
Below is an optimized crystal structure of Al2O3, with properties calculated at the PBE level.

Geometry as POSCAR:
```
Al2O3
1.0
10.9683 0.4146 -0.1818
0.3904 9.9351 -0.3446
-0.1725 -0.3398 9.9800
Al O
40 60
direct
0.3784 0.5918 0.3582
0.3979 0.0073 0.9083
0.9047 0.6802 0.6127
0.9811 0.5005 0.8409
0.2493 0.8098 0.7785
0.8885 0.2128 0.6645
0.3255 0.2664 0.6000
0.9183 0.0655 0.0189
0.3119 0.7851 0.0982
0.0991 0.3579 0.6124
0.8138 0.5585 0.1474
0.6462 0.1799 0.9828
0.7454 0.1493 0.2626
0.4903 0.8550 0.6189
0.0060 0.9158 0.7491
0.9825 0.3141 0.1197
0.7717 0.3670 0.9037
0.9971 0.1009 0.3041
0.5173 0.9921 0.4005
0.3357 0.3037 0.0281
0.4886 0.2870 0.2437
0.8347 0.7698 0.9325
0.6219 0.7340 0.3104
0.1099 0.8549 0.2488
0.1773 0.6189 0.5923
0.2620 0.0030 0.3946
0.7766 0.9525 0.5114
0.5105 0.5461 0.0903
0.8554 0.4237 0.4342
0.6091 0.6619 0.8567
0.1582 0.5457 0.0854
0.6260 0.5787 0.5620
0.3280 0.5549 0.8435
0.2292 0.3109 0.3261
0.1396 0.1377 0.8381
0.0623 0.5986 0.3455
0.5228 0.3450 0.7360
0.8608 0.8589 0.2383
0.5914 0.9198 0.0721
0.6322 0.2474 0.5164
0.5486 0.8859 0.2513
0.3032 0.1616 0.9191
0.8768 0.8593 0.6218
0.5788 0.7068 0.6871
0.0250 0.4787 0.0125
0.1880 0.2225 0.6892
0.3007 0.1700 0.4333
0.6174 0.3137 0.8730
0.9906 0.9594 0.1638
0.4020 0.6494 0.1902
0.5481 0.0541 0.9516
0.1035 0.9950 0.3979
0.7533 0.1413 0.5995
0.6097 0.4162 0.6137
0.6134 0.9317 0.5392
0.4851 0.5863 0.9195
0.8586 0.7166 0.1001
0.7974 0.1662 0.9315
0.7297 0.5454 0.8916
0.3324 0.2399 0.1909
0.8293 0.3960 0.0698
0.9962 0.0925 0.7225
0.1614 0.7152 0.1365
0.4731 0.3804 0.0857
0.3898 0.9076 0.7519
0.3141 0.6477 0.6893
0.7870 0.5711 0.5371
0.1626 0.4737 0.2456
0.2176 0.3965 0.5077
0.2689 0.7170 0.9264
0.6283 0.2203 0.1563
0.2656 0.4595 0.9783
0.0228 0.5821 0.5176
0.8918 0.3587 0.7839
0.6682 0.8052 0.9413
0.2323 0.6539 0.4257
0.8857 0.1845 0.1850
0.5326 0.6567 0.4307
0.2637 0.9121 0.2330
0.6499 0.5987 0.1804
0.9975 0.7633 0.3197
0.0820 0.2462 0.2711
0.1637 0.9600 0.8446
0.4910 0.2097 0.6158
0.9560 0.3108 0.5358
0.3930 0.9206 0.4787
0.8481 0.0344 0.3738
0.7374 0.3111 0.3931
0.1082 0.4942 0.7361
0.1083 0.7792 0.6759
0.9072 0.6604 0.7950
0.9179 0.9120 0.9036
0.9118 0.5016 0.2917
0.4254 0.8847 0.0302
0.3697 0.3960 0.7464
0.0408 0.1851 0.9876
0.7610 0.8007 0.3661
0.5666 0.1519 0.3698
0.4296 0.4189 0.3614
0.7415 0.9767 0.1432
```

Values from the calculation:
For the energy with MP2020 corrections, the calculation gives -7.722 eV/atom. The size of the total moment comes out at 0.00 μB per formula unit. As for the space group: P1, No. 1.

=====

# 3
Below is an optimized crystal structure of Mg14CuCO16, with properties calculated at the PBE level.

Geometry as POSCAR:
```
Mg14CuCO16
1.0
8.5184 0.0000 0.0000
0.0000 8.4766 0.0000
0.0000 0.0000 4.2325
Mg Cu C O
14 1 1 16
- - -

• Written answer:
10.9683 0.4146 -0.1818
0.3904 9.9351 -0.3446
-0.1725 -0.3398 9.9800
Al O
40 60
direct
0.3784 0.5918 0.3582
0.3979 0.0073 0.9083
0.9047 0.6802 0.6127
0.9811 0.5005 0.8409
0.2493 0.8098 0.7785
0.8885 0.2128 0.6645
0.3255 0.2664 0.6000
0.9183 0.0655 0.0189
0.3119 0.7851 0.0982
0.0991 0.3579 0.6124
0.8138 0.5585 0.1474
0.6462 0.1799 0.9828
0.7454 0.1493 0.2626
0.4903 0.8550 0.6189
0.0060 0.9158 0.7491
0.9825 0.3141 0.1197
0.7717 0.3670 0.9037
0.9971 0.1009 0.3041
0.5173 0.9921 0.4005
0.3357 0.3037 0.0281
0.4886 0.2870 0.2437
0.8347 0.7698 0.9325
0.6219 0.7340 0.3104
0.1099 0.8549 0.2488
0.1773 0.6189 0.5923
0.2620 0.0030 0.3946
0.7766 0.9525 0.5114
0.5105 0.5461 0.0903
0.8554 0.4237 0.4342
0.6091 0.6619 0.8567
0.1582 0.5457 0.0854
0.6260 0.5787 0.5620
0.3280 0.5549 0.8435
0.2292 0.3109 0.3261
0.1396 0.1377 0.8381
0.0623 0.5986 0.3455
0.5228 0.3450 0.7360
0.8608 0.8589 0.2383
0.5914 0.9198 0.0721
0.6322 0.2474 0.5164
0.5486 0.8859 0.2513
0.3032 0.1616 0.9191
0.8768 0.8593 0.6218
0.5788 0.7068 0.6871
0.0250 0.4787 0.0125
0.1880 0.2225 0.6892
0.3007 0.1700 0.4333
0.6174 0.3137 0.8730
0.9906 0.9594 0.1638
0.4020 0.6494 0.1902
0.5481 0.0541 0.9516
0.1035 0.9950 0.3979
0.7533 0.1413 0.5995
0.6097 0.4162 0.6137
0.6134 0.9317 0.5392
0.4851 0.5863 0.9195
0.8586 0.7166 0.1001
0.7974 0.1662 0.9315
0.7297 0.5454 0.8916
0.3324 0.2399 0.1909
0.8293 0.3960 0.0698
0.9962 0.0925 0.7225
0.1614 0.7152 0.1365
0.4731 0.3804 0.0857
0.3898 0.9076 0.7519
0.3141 0.6477 0.6893
0.7870 0.5711 0.5371
0.1626 0.4737 0.2456
0.2176 0.3965 0.5077
0.2689 0.7170 0.9264
0.6283 0.2203 0.1563
0.2656 0.4595 0.9783
0.0228 0.5821 0.5176
0.8918 0.3587 0.7839
0.6682 0.8052 0.9413
0.2323 0.6539 0.4257
0.8857 0.1845 0.1850
0.5326 0.6567 0.4307
0.2637 0.9121 0.2330
0.6499 0.5987 0.1804
0.9975 0.7633 0.3197
0.0820 0.2462 0.2711
0.1637 0.9600 0.8446
0.4910 0.2097 0.6158
0.9560 0.3108 0.5358
0.3930 0.9206 0.4787
0.8481 0.0344 0.3738
0.7374 0.3111 0.3931
0.1082 0.4942 0.7361
0.1083 0.7792 0.6759
0.9072 0.6604 0.7950
0.9179 0.9120 0.9036
0.9118 0.5016 0.2917
0.4254 0.8847 0.0302
0.3697 0.3960 0.7464
0.0408 0.1851 0.9876
0.7610 0.8007 0.3661
0.5666 0.1519 0.3698
0.4296 0.4189 0.3614
0.7415 0.9767 0.1432
```

Values from the calculation:
For the energy with MP2020 corrections, the calculation gives -7.722 eV/atom. The size of the total moment comes out at 0.00 μB per formula unit. As for the space group: P1, No. 1.

=====

# 3
Below is an optimized crystal structure of Mg14CuCO16, with properties calculated at the PBE level.

Geometry as POSCAR:
```
Mg14CuCO16
1.0
8.5184 0.0000 0.0000
0.0000 8.4766 0.0000
0.0000 0.0000 4.2325
Mg Cu C O
14 1 1 16